Entries:
┌──
{"formula": "C2H9N3O", "method": "ωB97M-V/def2-TZVPD", "total_charge": 0, "total_energy_ev": -8737.5701, "smiles": "[H]/N=C(/N)NC.O", "de_lowest_ev": 0.870, "largest_force_ha_per_bohr": 0.0375, "lumo_ev": 0.715, "homo_lumo_gap_ev": 10.13, "species": ["H", "N", "C", "N", "N", "C", "H", "H", "H", "H", "H", "H", "O", "H", "H"], "xyz": [[-2.0475, 0.1769, 0.5643], [-1.2115, 0.3686, 1.1105], [-0.2507, 0.6327, 0.3050], [1.0683, 0.6621, 0.7716], [-0.4452, 1.1470, -0.9989], [0.2755, 0.5579, -2.0923], [1.6890, 0.0563, 0.2547], [1.0757, 0.5159, 1.7704], [-1.4288, 1.3478, -1.0521], [0.0880, 1.1277, -2.9978], [-0.0201, -0.4809, -2.3092], [1.3408, 0.5595, -1.8959], [0.2961, -2.1821, 2.3968], [-0.1307, -1.5509, 1.7995], [-0.2990, -2.9387, 2.3734]], "atomic_forces_ev_per_a": [[-0.30, 0.61, 0.23], [0.32, -0.84, -0.25], [0.16, 1.03, -0.21], [-0.42, 0.17, -0.28], [0.17, -0.63, 1.81], [-0.43, -0.38, -0.69], [0.18, 0.13, 0.20], [0.19, -0.42, -0.03], [-0.13, -0.17, -0.94], [0.14, 0.12, -0.06], [0.02, 0.09, 0.11], [0.18, 0.20, 0.06], [-0.08, -0.12, -0.28], [-0.13, 0.24, 0.21], [0.10, -0.02, 0.12]]}
└──
Wanted:
Please set down all of the listing earlier on character by character.
Solution:
{"formula": "C2H9N3O", "method": "ωB97M-V/def2-TZVPD", "total_charge": 0, "total_energy_ev": -8737.5701, "smiles": "[H]/N=C(/N)NC.O", "de_lowest_ev": 0.870, "largest_force_ha_per_bohr": 0.0375, "lumo_ev": 0.715, "homo_lumo_gap_ev": 10.13, "species": ["H", "N", "C", "N", "N", "C", "H", "H", "H", "H", "H", "H", "O", "H", "H"], "xyz": [[-2.0475, 0.1769, 0.5643], [-1.2115, 0.3686, 1.1105], [-0.2507, 0.6327, 0.3050], [1.0683, 0.6621, 0.7716], [-0.4452, 1.1470, -0.9989], [0.2755, 0.5579, -2.0923], [1.6890, 0.0563, 0.2547], [1.0757, 0.5159, 1.7704], [-1.4288, 1.3478, -1.0521], [0.0880, 1.1277, -2.9978], [-0.0201, -0.4809, -2.3092], [1.3408, 0.5595, -1.8959], [0.2961, -2.1821, 2.3968], [-0.1307, -1.5509, 1.7995], [-0.2990, -2.9387, 2.3734]], "atomic_forces_ev_per_a": [[-0.30, 0.61, 0.23], [0.32, -0.84, -0.25], [0.16, 1.03, -0.21], [-0.42, 0.17, -0.28], [0.17, -0.63, 1.81], [-0.43, -0.38, -0.69], [0.18, 0.13, 0.20], [0.19, -0.42, -0.03], [-0.13, -0.17, -0.94], [0.14, 0.12, -0.06], [0.02, 0.09, 0.11], [0.18, 0.20, 0.06], [-0.08, -0.12, -0.28], [-0.13, 0.24, 0.21], [0.10, -0.02, 0.12]]}